January 18, 2012

JANUARY 18, 2012

By Kenneth S. Grossbart
Abdulaziz, Grossbart & Rudman

The Contractors' State License Board held Licensing and Enforcement Committee meetings at the CSLB headquarters in Sacramento on January 18, 2012.


Committee Members Present:
David Dias, Chair; Lisa Miller-Strunk; Bruce Rust; Frank Schetter

Committee Members Absent:
John O'Rourke

Licensing Program Update

License Application Workload
License applications continue to decline due to the economy. There is a 30% decline in fiscal year 2010-11 compared to the previous 10 years.

Limited Liability Companies
The LLC program has now been completed. The LLC applications have been available on the CSLB website since December 28, 2011. The staff has had to develop and create new applications and procedures, as well as information technology programming to make this all possible. The IT division worked closely with Licensing to get this done. It should be noted that the Statement of Information must be filed before you can get licensed.

License Transaction Processing Times
The Licensing Division has been able to keep acceptable processing times even with the reduction in staff hours due to the fact that there is a decrease in applications.

Fingerprinting/Criminal Background Unit (CBU)
The CBU has seen a decline in fingerprint submissions as a result of the reduction in applications as well as adding classifications that have already undergone a background check. Staff continues to conduct background checks on the same day it is received.

Licensing Information Center (LIC)
LIC currently has seven vacant positions. Of these vacancies, two are on hold because of the mandatory budget reduction, and one is on loan to the Department of Consumer Affairs. There are also vacancies due to staff members retiring. Because of all of this, call wait times have significantly increased with June having the highest wait time in over a year. Now that the hiring freeze has ended, recruiting new staff is a top priority, and a few positions have been filled. They are still working at half-capacity with only eight of 16 positions filled.

LIC's training coordinator has developed introductory training materials based on feedback from the call center staff. This introductory training will eventually be followed with more in-depth training that will be offered to all new and existing CSLB employees.

Testing Program Update

# Inserted here: crystal structures
Record 1
Below is a relaxed Na3AsPb crystal, with properties calculated at the PBE-GGA level.

Results
ΔH_f (0 K)	11.70	kcal/mol of atoms
theoretical density	3.0	g cm⁻³
SG	No. 221
energy relative to the lowest polymorph listed for this composition	0.692	eV per atom
energy	-1.96	eV/atom

extended XYZ file:
```
5
Lattice="-2.200 -2.509 -4.760 1.833 -5.184 1.886 -5.059 -0.787 2.753" Properties=species:S:1:pos:R:3 pbc="T T T"
Na -2.529 -0.394 1.377
Na -1.100 -1.255 -2.380
Na 0.916 -2.592 0.943
Pb 0.000 0.000 0.000
As -2.713 -4.240 -0.060
```

Record 2
Below is a relaxed Tb4Y5Er crystal, with properties calculated at the PBE-GGA level.

Results
ΔH_f (0 K)	7.06	kcal/mol of atoms
theoretical density	6.3	g cm⁻³
SG	No. 79
energy	-5.23	eV/atom

extended XYZ file:
```
10
Lattice="6.247 0.000 0.000 3.123 7.258 0.000 3.123 0.000 7.258" Properties=species:S:1:pos:R:3 pbc="T T T"
Er 1.360 0.000 0.000
Y 5.952 6.658 4.496
Y 9.075 2.762 6.658
Y 5.952 0.600 2.762
Y 2.829 4.496 0.600
Y 4.245 0.000 0.000
Tb 2.813 2.190 2.873
Tb 5.937 4.385 2.190
Tb 9.060 5.068 4.385
Tb 5.937 2.873 5.068
```

Record 3
Below is a relaxed PrTa2 crystal, with properties calculated at the PBE-GGA level.

Results
ΔH_f (0 K)	7.94	kcal/mol of atoms
theoretical density	12.1	g cm⁻³
SG	No. 227
energy	-9.15	eV/atom

extended XYZ file:
```
6
Lattice="5.794 0.000 0.000 2.897 5.017 0.000 2.897 1.672 4.730" Properties=species:S:1:pos:R:3 pbc="T T T"
Pr 2.897 1.672 1.183
Pr 0.000 0.000 0.000
Ta 5.794 3.345 0.591
Ta 7.242 4.181 2.956
Ta 4.345 4.181 2.956
Ta 5.794 1.672 2.956
```

Record 4
Below is a relaxed TaAsC3 crystal, with properties calculated at the PBE-GGA level.

Results
ΔH_f (0 K)	52.91	kcal/mol of atoms
theoretical density	8.6	g cm⁻³
SG	No. 221
energy relative to the lowest polymorph listed for this composition	0.235	eV per atom
energy	-6.54	eV/atom

extended XYZ file:
```
5
Lattice="3.839 0.000 0.000 0.000 3.839 0.000 0.000 0.000 3.839" Properties=species:S:1:pos:R:3 pbc="T T T"
Ta 1.920 1.920 1.920
C 0.000 0.000 1.920
C 1.920 0.000 0.000
C 0.000 1.920 0.000
As 0.000 0.000 0.000
```

Record 5
Below is a relaxed ErInNiRu crystal, with properties calculated at the PBE-GGA level.

Results
ΔH_f (0 K)	-6.93	kcal/mol of atoms
theoretical density	10.5	g cm⁻³
SG	No. 216
energy	-5.89	eV/atom

extended XYZ file:
```
4
Lattice="-1.315 -2.302 -3.794 -3.150 -3.375 0.317 -4.246 0.627 -1.732" Properties=species:S:1:pos:R:3 pbc="T T T"
Er -4.355 -2.525 -2.604
Ru -2.178 -1.262 -1.302
Ni -6.533 -3.787 -3.907
In 0.000 0.000 0.000
```

Record 6
Below is a relaxed CaBiB crystal, with properties calculated at the PBE-GGA level.

Results
ΔH_f (0 K)	-0.74	kcal/mol of atoms
theoretical density	4.0	g cm⁻³
SG	No. 12
energy relative to the lowest polymorph listed for this composition	0.000	eV per atom
energy	-4.22	eV/atom

extended XYZ file:
```
6
Lattice="3.227 0.000 0.000 -1.613 11.512 2.181 0.000 2.939 6.298" Properties=species:S:1:pos:R:3 pbc="T T T"
B 0.000 7.337 4.185
B 1.613 7.114 4.294
Ca 0.000 5.011 5.320

The Testing Division is currently waiting for DCA approval to fill three out of four vacant test monitor positions. The San Jose test monitor will start February 1. All four positions have been selected from applicants facing layoff from other state agencies.

Examination Wait Time
Even though the examination wait time is at three weeks statewide, there is still an excellent chance that walk-in applicants can find an available seat at any testing center.

Testing Center Status
The Oxnard Testing Center should be changed in February or March so that they can provide adequate spacing and provide additional comfort for applicants. The Oakland Testing Center's lobby has been repainted; the rest of the interior is due to be repainted shortly.

Examination Development
The Examination Development Unit has completed occupational analyses for the C-4 Boiler, Hot Water Heating and Steam Fitting as well as the C-21 Building Moving and Demolition classifications. They have also finished a new exam for the C-54 Tile classification. The Testing Division uses email and paper surveys for occupational analyses projects. Once they have adequate data, they will be able to conduct an analyses to identify any differences in the results of the two methods between paper and email surveys.

Enforcement Representative I Examination
The CSLB's goal is to administer this test twice a year. They successfully administered this test twice last year, which was given for the first time by computer using SCORE without any problems.

Visit To Belectric Solar Farm
Rick Villucci gave a PowerPoint presentation on Belectric Solar Farm. The presentation included an overview of the visit to the solar farm, the construction of the farm and the pros and cons of going solar. The farm went online in December and now produces electricity. The life expectancy of the solar panels is 20 years.

== Misplaced crystal structures ==
********
Here is a relaxed LiSb2P crystal from the Alexandria database. Energies are from GGA-PBE.

## Properties
V   21.01 Å³/atom
Formation energy without anion corrections   8 kJ/mol of atoms
DOS at the Fermi energy   1.5 states/eV/cell
Raw total energy   -3.8128 eV per atom

The structure in extended XYZ format:
```
4
Lattice="-3.001 0.616 -3.748 -3.661 -1.744 2.644 -0.751 3.314 1.146" Properties=species:S:1:pos:R:3 pbc="T T T"
Li -1.876 1.965 -1.301
P -2.206 0.785 1.895
Sb 0.000 0.000 0.000
Sb -3.331 -0.564 -0.552
```

=====

Here is a relaxed I crystal from the Alexandria database. Energies are from GGA-PBE.

## Properties
V   52.85 Å³/atom
Formation energy without anion corrections   13 kJ/mol of atoms
DOS at the Fermi energy   1.5 states/eV/cell
Energy above the most stable polymorph in this dataset   0.1304 eV per atom
Raw total energy   -1.4197 eV per atom

The structure in extended XYZ format:
```
4
Lattice="4.754 0.000 0.000 -2.377 4.117 0.000 0.000 0.000 10.801" Properties=species:S:1:pos:R:3 pbc="T T T"
I 0.000 2.745 1.333
I 2.377 1.372 6.734
I 2.377 1.372 9.468
I 0.000 2.745 4.068
```

=====

Here is a relaxed LiHfHg3 crystal from the Alexandria database. Energies are from GGA-PBE.

## Properties
V   34.21 Å³/atom
DOS at the Fermi energy   6.2 states/eV/cell
Energy of formation   0.44 eV/atom
Energy above the most stable polymorph in this dataset   0.1445 eV per atom
Raw total energy   -2.1096 eV per atom

The structure in extended XYZ format:
```
5
Lattice="-4.747 -2.539 -1.357 1.952 -0.917 -5.115 2.115 -4.851 1.677" Properties=species:S:1:pos:R:3 pbc="T T T"
Hf 0.000 0.000 0.000
Hg 0.976 -0.458 -2.558
Hg 1.058 -2.425 0.838
Hg -2.373 -1.269 -0.678
Li -0.340 -4.153 -2.398
```

=====

Here is a relaxed Hf2VCd crystal from the Alexandria database. Energies are from GGA-PBE.

## Properties
V   19.87 Å³/atom
DOS at the Fermi energy   4.7 states/eV/cell
Energy of formation   0.04 eV/atom
Raw total energy   -7.4494 eV per atom

The structure in extended XYZ format:
```
4
Lattice="3.284 0.000 0.000 0.000 3.284 0.000 0.000 0.000 7.374" Properties=species:S:1:pos:R:3 pbc="T T T"
V 1.642 1.642 0.000
Hf 0.000 0.000 5.761
Hf 0.000 0.000 1.613
Cd 1.642 1.642 3.687
```

=====

Here is a relaxed BHBr2 crystal from the Alexandria database. Energies are from GGA-PBE.

## Properties
V   23.14 Å³/atom
DOS at the Fermi energy   0.0 states/eV/cell
Energy above the most stable polymorph in this dataset   1.0712 eV per atom
Raw total energy   -2.5738 eV per atom
********


Committee Members Present:
Matt Kelly, Chair; Pastor Herrera; Ed Lang; Frank Schetter.

Committee Members Absent:
Jim Miller; John O'Rourke.

Enforcement Program Update

Vacancy Update
The CSLB finally received notice from the Department of Consumer Affairs on November 22, 2011 that the hiring freeze has been lifted. There are currently 33 vacant positions in the Enforcement Division and they have been proactive in advertising and hiring for all positions.

Intake and Mediation Highlights
A CSLB Consumer Services Representative was able to mediate a complaint between consumers and a licensee who had built a four-unit condominium project. Even though the statute of limitations had passed, the representative was successful in getting the licensee to take care of all the issues at no cost to the consumer, resulting in a $277,000 savings to the public.

A warning letter was successful in getting a licensee to comply with the law. The licensee had previously been issued a warning letter on a previous job for failing to pull a permit. When the consumer refused to pull a permit, the licensee did not go forward with the project. The consumer filed a complaint, the representative educated the consumer on the importance of the building permit and the complaint was closed with no violations.

Investigative Center Highlights
A solar system failed to deliver the promised power. The licensee has refused to fix the problem due to recently filing for bankruptcy. The complaint has now been recommended for accusation against the licensee for failing to perform per the contract.

Well Drilling complaints result in three revoked licenses and an application denial.

Internal partnering results in criminal prosecution.

Investigation leads to criminal referral.

Unlicensed painter on probation gets caught again.

For the 2011 calendar year, there were 540 arbitration cases initiated. Of those, 467 had decisions received, 127 had licenses revoked for non-compliance and the savings to the public for restitution was $1,478,734.

SWIFT Statewide Investigative Fraud Unit
SWIFT has partnered with San Bernardino investigators to issue administrative citations and four Stop Orders after a sweep. There has also been partnering with the San Diego District Attorney's office as well as San Joaquin County. There have been criminal charges for repeat offenders, 11 unlicensed operators found and at a routine traffic stop, a police officer issued a Notice to appear for driving on a suspended license and violation of Business and Professions Code 7028 for contracting without a license.

General Complaint Handling Statistics
The Enforcement Division is now closing an average of nine complaints per month since the elimination of furlough days. They are working towards an average of 10 complaints closed per month. They achieved their goal of increasing the percentage of licensee complaints settled to 30% in November 2011 with an average of 32%, as well as accomplishing Intake and Mediation Center licensee Complaint disclosure of 70% with an average of 70% in November. Other than in November 2011, the staff has been able to meet their goal of reducing 270-day-old complaints to 100 or less.

Investigative Center Audits
The internal audit of CSLB's Investigative Centers is now complete. The audit determined some areas where the staff needed improvement, but the majority of those recommendations can be undertaken by training and increased supervisory oversight.

Public Works Investigation Unit Update
At this time, there are three public works contractors that are pending disciplinary actions for using the same unlicensed construction clean-up contractor. The unlicensed subcontractor was also issued three non-licensee citations.

During the 2011 calendar year there were 118 public works complaints that were initiated. Out of those complaints, 23 were Citations, 18 were referred for Accusation, two were referred to a prosecutor for criminal filings and five were non-licensee Citations.

Impact of Underground Economy on Employers & Anticipating Effects of Health Reform
Frank Neuhauser, Executive Director of the Center for the Study of Social Insurance at the University of California at Berkeley gave a great PowerPoint presentation regarding the impact that the underground economy has on the construction industry. Worker's Compensation is being under-reported, mis-reported and in some instances not reported at all. This impacts the honest employer. From 1997 to 2005 it was estimated that 15 to 68 billion goes unreported. Honest employers pay two to three times more than the appropriate rate for high risk jobs. The conclusions he came to from research are that the PPACA (Patient Protection and Affordable Care Act) and related mandate may increase employer costs (especially for small to medium-size employers with high workers' compensation insurance costs), which will increase the importance of enforcement efforts against underground employers to protect the honest companies. The main issue is that we need to improve enforcement. This was a very informative presentation.

Proposed 2012 Proactive Enforcement Strategies
The CSLB's Labor Enforcement Task Force has five top enforcement objectives. They already have some associations that have agreed to participate. They want to partner with EDD, DLSE, DOSH, BOE, and CDI to identify construction businesses that are in violation of license, tax and workers' compensation insurance requirements through CSLB complaints, industry associations and labor compliance organizations.

They also want to regularly meet with associations to identify flagrant construction offenders that will be subject to one or more enforcement actions.

Another objective is to establish protocol with partner agencies to provide for violation disclosure and outstanding liability suspension for such things as unpaid wage claims, tax liabilities and civil penalties.

Enforcement wants to create a statistical report format that identifies their actions, monies owed, and compliance (such as the impact of license suspensions etc.).

The Enforcement Representatives are also establishing an outreach and educational program that provides assistance to prospective and established business owners regarding license, safety and tax requirements within the construction industry.

The Economic Employment Enforcement Coalition (EEEC) which was part of SWIFT and conducts sting operations has now been reorganized as the Labor Enforcement Task Force (LETF). LETF instead of conducting random sweeps, a formal process has been established to identify offenders before visiting a project site, which should increase the number of enforcement actions for the CSLB and will result in more efficient sweep operations.

JESF Investigators Pilot the Partnering Agency County Task Force (PACT). PACT teams the CSLB Enforcement Representatives with District Attorneys and investigators etc., to a participating county to target unlicensed and/or uninsured violators.

The CSLB will be partnering with the Employment Development Department to combat the underground economy. Dan Kurtilla, Chief of the Underground Economy section of EDD addressed the Board to express its continued support of the CSLB in helping on the underground economy issue. The EDD said that the CSLB is their number one partner on fighting the underground economy.

Review & Approval of Enhanced Enforcement Representative Identification
The CSLB has been working on new professional identification cards for staff that conducts business in the field. There has been a task force and meetings to look into this. One of the requirements is to have the staff trained on how and what to do with the badges. The Board has been asked to approve the enhanced ID emblem to all Enforcement Representatives that are part of the SWIFT staff after they have completed the proper training and signed an acknowledgement statement that they have completed this.

-- begin --
{"formula": "Nd2DyCuSe5", "functional": "PBE", "state": "relaxed", "lattice": [[-2.4258, -2.3294, 2.3007], [1.7411, -5.3241, -7.1632], [9.7468, -4.5041, 5.7167]], "species": ["Nd", "Nd", "Nd", "Nd", "Se", "Se", "Se", "Se", "Se", "Se", "Se", "Se", "Se", "Se", "Dy", "Dy", "Cu", "Cu"], "fractional_positions": [[0.1088, 0.2176, 0.6862], [0.8912, 0.7824, 0.1862], [0.8778, 0.7556, 0.8096], [0.1222, 0.2444, 0.3096], [0.4992, 0.9985, 0.7803], [0.5008, 0.0015, 0.2803], [0.6433, 0.2867, 0.5012], [0.6872, 0.3745, 0.8461], [0.0426, 0.0853, 0.0614], [0.3567, 0.7133, 0.0012], [0.3128, 0.6255, 0.3461], [0.2881, 0.5761, 0.6741], [0.9574, 0.9147, 0.5614], [0.7119, 0.4239, 0.1741], [0.8066, 0.6131, 0.5105], [0.1934, 0.3869, 0.0105], [0.4355, 0.8710, 0.4546], [0.5645, 0.1290, 0.9546]], "space_group": "Cmc2_1, No. 36", "final_energy_ev_per_atom": -5.556, "n_ef_per_ev_cell": 0.067, "e_form_raw_ev_per_atom": -1.594, "vol_a3_per_fu": 219.6}

* * * * *

Entry 1:
The following is a DFT calculation (GGA-PBE) of Li2NpBr5 after structural relaxation.

Cell: 7.2116 7.2116 14.2662 Å, 90.00 90.00 135.12°
Last column: nearest neighbours and their distance in Å.
Fractional positions:
Li1 0.1483 0.8517 0.5299  5 Br 2.58-2.86
Li2 0.1483 0.8517 0.9701  5 Br 2.58-2.86
Li3 0.8517 0.1483 0.0299  5 Br 2.58-2.86
Li4 0.8517 0.1483 0.4701  5 Br 2.58-2.86
Np1 0.1984 0.8016 0.2500  6 Br 2.83-2.97
Np2 0.8016 0.1984 0.7500  6 Br 2.83-2.97
Br1 0.0387 0.9613 0.1194  2 Li 2.58-2.80, 1 Np 2.83
Br2 0.0387 0.9613 0.3806  2 Li 2.58-2.80, 1 Np 2.83
Br3 0.2363 0.7637 0.7500  2 Np 2.89
Br4 0.3177 0.6823 0.0738  3 Li 2.70-2.86, 1 Np 2.97
Br5 0.3177 0.6823 0.4262  3 Li 2.70-2.86, 1 Np 2.97
Br6 0.6823 0.3177 0.5738  3 Li 2.70-2.86, 1 Np 2.97
Br7 0.6823 0.3177 0.9262  3 Li 2.70-2.86, 1 Np 2.97
Br8 0.7637 0.2363 0.2500  2 Np 2.89
Br9 0.9613 0.0387 0.6194  2 Li 2.58-2.80, 1 Np 2.83
Br10 0.9613 0.0387 0.8806  2 Li 2.58-2.80, 1 Np 2.83

Results
V = 32.72 Å³/atom
energy = -4.51 eV/atom
mass density = 4.13 g/cm3


Entry 2:
The following is a DFT calculation (GGA-PBE) of Li2NpBr8 after structural relaxation.

Cell: 8.5593 8.5593 6.9010 Å, 93.67 93.67 51.88°
Last column: nearest neighbours and their distance in Å.
Fractional positions:
Li1 0.1614 0.1614 0.4482  4 Br 2.41-2.69
Li2 0.8386 0.8386 0.5518  4 Br 2.41-2.69
Np1 0.0000 0.0000 0.0000  6 Br 2.67-2.68
Br1 0.1513 0.1513 0.8296  1 Li 2.65, 1 Np 2.68
Br2 0.1827 0.6885 0.7502  1 Np 2.67, 1 Li 2.69
Br3 0.3115 0.8173 0.2498  1 Np 2.67, 1 Li 2.69
Br4 0.3132 0.3132 0.3856  1 Li 2.41
Br5 0.6868 0.6868 0.6143  1 Li 2.41
Br6 0.6885 0.1827 0.7502  1 Np 2.67, 1 Li 2.69
Br7 0.8173 0.3115 0.2498  1 Np 2.67, 1 Li 2.69
Br8 0.8487 0.8487 0.1704  1 Li 2.65, 1 Np 2.68

Results
V = 36.07 Å³/atom
energy = -3.76 eV/atom
mass density = 3.73 g/cm3


Entry 3:
The following is a DFT calculation (GGA-PBE) of LiNpBr5 after structural relaxation.

Cell: 7.5457 7.5457 10.6466 Å, 110.15 110.15 88.14°
Last column: nearest neighbours and their distance in Å.
Fractional positions:
-- stop --


February 7, 2012, San Jose - Board Meeting
April 17-18, 2012, Monterey - Board Meeting
June 5, 2012, Orange County - Joint Board Meeting with Nevada State Contractors Board